KAW 173 – Day 1

KAW 173 Journey – Day 1

River Mile 173 and kayaked 6 miles to River Mile 167 of the Kansas River Water Trail

On this beautiful summer afternoon, we launched from Junction City onto the Republican River and paddled our kayaks to where it meets the Smoky Hill River and the Kansas River begins. Seven of us are making this journey together to raise awareness about the Kansas River Water Trail amd we are excited to see all of you either at the public paddles or the community events!

Along the way, we enjoyed the beauty that only this river can offer in our beautiful state of Kansas. We enjoyed the calm, cool waters of the river when we stopped for a break at a sandbar. We cooled off and then continued on our journey. It felt wonderful to be in no hurry, and just simply let our boats flow with the river… and immerse ourselves in nature.

Along the way we saw a ton of wildlife today. it is not uncommon to see many Blue heron on the Kansas River, and today we saw seven. We also saw three bald eagles, a kingfisher, fish crow, 20 Canada geese, and even quietly rolled up on a beaver sitting on the banks!

-- Molecular data from another source follow --
'''
[1]
Molecular formula: C17H27NO5
Method: DFT, ωB97M-V with the def2-TZVPD basis set

```
50
Properties=species:S:1:pos:R:3:forces:R:3:mulliken_charge:R:1
O 1.941 -1.762 1.182 0.12 0.34 -0.02 -0.3576
O -1.223 0.732 -5.953 0.04 -0.37 -0.18 -0.5642
O 1.693 0.240 -1.827 -0.31 0.17 -0.16 -0.4434
O -1.058 0.069 2.489 -0.04 -0.04 -0.30 -0.3293
O 0.138 1.629 0.205 0.16 -0.15 -0.36 -0.2516
N 0.397 -2.773 3.723 0.00 -0.12 -0.04 0.0482
C 0.406 -1.340 3.933 -0.19 0.23 0.03 -0.7537
C -0.949 -0.620 3.719 0.16 -0.16 0.19 -0.6057
C 1.230 -1.219 0.089 -0.05 0.13 -0.32 0.1959
C 1.549 -3.058 1.566 -0.25 -0.33 0.00 -0.9132
C -1.224 2.516 -1.594 0.07 -0.01 0.17 -0.6098
C 0.601 1.023 -2.061 -0.01 0.03 -0.22 -0.4786
C -0.177 1.730 -1.127 0.02 -0.02 0.06 1.0060
C 2.111 -0.129 -0.532 0.27 -0.39 0.69 -0.8513
C -0.809 2.032 1.166 -0.10 0.00 0.54 -0.8231
C -0.771 1.907 -3.872 -0.21 0.00 0.04 1.2746
C 0.219 -3.154 2.332 0.57 0.11 -0.06 -0.4077
C -1.524 2.603 -2.942 0.09 -0.07 -0.13 -1.2753
C 0.016 2.825 -6.055 -0.41 -0.19 -0.01 -1.2165
C -0.465 1.345 2.486 -0.09 0.25 -0.25 -0.6113
C 0.283 1.133 -3.412 -0.09 0.09 0.23 -0.1168
C -1.070 2.000 -5.353 0.27 0.48 0.07 -0.3833
C -0.447 -3.505 4.641 0.02 0.02 -0.09 -1.1267
H 0.752 -1.165 4.955 0.02 0.05 -0.03 0.3948
H -1.817 3.082 -0.894 -0.04 0.02 0.10 0.4010
H -1.526 -3.407 4.446 -0.04 -0.01 0.03 0.3703
H -1.760 -1.352 3.702 0.05 0.05 0.10 0.3967
H -0.411 0.231 -5.818 -0.07 -0.02 -0.04 0.3722
H 1.144 -0.925 3.245 -0.02 0.14 0.11 0.3336
H -2.348 3.221 -3.263 -0.12 0.06 -0.04 0.3008
H -0.188 -4.563 4.584 -0.08 -0.05 0.06 0.3875
H -0.196 2.884 -7.119 0.00 0.02 -0.10 0.3638
H -0.778 3.122 1.295 -0.04 -0.11 -0.05 0.4185
H 0.626 1.280 2.586 -0.04 0.06 0.03 0.2435
H 0.911 0.577 -4.093 0.11 -0.08 -0.08 0.4228
H 2.179 0.731 0.136 0.06 -0.11 -0.12 0.2532
H 0.045 3.829 -5.640 0.07 0.12 0.05 0.3459
H -0.248 -3.157 5.654 -0.03 -0.03 0.10 0.3337
H 3.114 -0.544 -0.677 -0.15 0.04 0.06 0.3123
H 1.494 -3.704 0.676 0.03 0.06 0.02 0.4335
H -1.820 1.725 0.872 0.08 0.07 0.02 0.4758
H 0.269 -0.801 0.412 0.07 -0.09 -0.05 0.0054
H -2.041 2.487 -5.495 0.13 -0.02 0.10 0.4318
H 1.042 -1.996 -0.667 0.04 0.06 0.04 0.3207
H -1.139 0.080 4.545 -0.03 -0.04 -0.04 0.3319
H -0.100 -4.198 2.303 -0.02 0.02 -0.04 0.5668
H -0.547 -2.548 1.826 -0.10 -0.09 -0.05 0.2039
H 0.991 2.362 -5.914 0.13 -0.04 0.03 0.3029
H -0.861 1.940 3.324 0.05 -0.04 -0.09 0.4883
H 2.349 -3.415 2.219 -0.13 -0.09 -0.05 0.3827
```
Positions in Å, forces in eV/Å.

As for the SMILES: C[C@@H](O)c1ccc2c(c1)OCCOCCN(C)CCOCCO2. Its maximum force is 0.8 eV/Å. The value obtained for the orbital gap is 8.98 eV. As for the HOMO energy: -0.2993 Ha. As for the molar mass: 325.4 u. The charge is 0. For the total energy, the calculation gives -1094.854554 Ha.


[2]
Molecular formula: C26H29AuFN7O6
Method: DFT, ωB97M-V with the def2-TZVPD basis set

```
70
Properties=species:S:1:pos:R:3:forces:R:3:mulliken_charge:R:1
Au -0.180 -0.551 0.339 -0.47 -0.22 0.28 1.2212
F -5.756 1.567 -2.727 -0.04 -0.01 -0.03 -0.3330
'''

As I sit here on this beautiful sandbar, and reflect on the day… I can hear a bobwhite quail. We also were surprised when our KSU professor entomologist paddler discovered a tiger beetle larva on the sandbar! Let’s just say it’s been a great day for wildlife!

We are all set up for the night, believe me when I tell you that there is nothing better than camping on a Kansas River sandbar… Good night all. See you tomorrow out on the river!

Chasing the Channel – Blog No. 3

Chasing the Channel – Blog No. 3

By now, you may have seen or heard all of our noise around the KAW 173 Journey. Yep, that’s us. We are about to get really loud! We hope that all of our friends can join us along the way – either at the Community Visits at the boat ramp or on the river with one of our Public Paddles (please wear life jackets on the river and masks on the ramp). You can learn more here: https://kansasriver.org/kaw173-jc-to-kc-on-the-water-trail/

____________
{"formula": "C5H7OP", "method": "ωB97M-V/def2-TZVPD", "e_tot_ha": -611.185465, "e_above_lowest_ev": 2.749, "elements": ["C", "C", "C", "C", "C", "O", "P", "H", "H", "H", "H", "H", "H", "H"], "positions_angstrom": [[-2.20704, 0.33615, -0.48099], [-0.96203, -0.18209, -0.88371], [-2.35363, -0.04261, 0.82787], [-0.45524, -0.85022, 0.20322], [2.64066, 0.91347, 0.25021], [-1.28395, -0.72094, 1.24047], [2.39830, -0.07378, -1.09189], [-2.74464, 0.84991, -1.11882], [-0.49836, -0.21630, -1.84896], [-3.20611, 0.09059, 1.43303], [2.88465, 0.68644, 1.29161], [3.03597, 2.00276, 0.16067], [2.26882, -1.30578, -0.52009], [0.48259, -1.48759, 0.53739]], "mulliken_charge": [-0.52, -0.20, -0.55, -0.13, -0.38, -0.28, -0.07, 0.54, 0.40, 0.42, 0.27, 0.25, -0.02, 0.26]}

=====

Entry a
The following is a quantum chemistry calculation of a cluster of 2 separate species, C2H4N3O in total, from the OMol25 dataset.

Orbital gap = 12.16 eV
Lowest unoccupied orbital energy = -5.2 eV
HOMO energy = -0.637 Eh
Net charge = +1

XYZ file:
```
10
C2H4N3O | the OMol25 dataset | the ωB97M-V functional and the def2-TZVPD basis
H 0.980 0.754 -0.791
H 1.703 -0.804 -0.629
N -1.344 -0.850 -1.804
N -1.979 0.264 0.365
N -0.249 -0.747 -1.543
H -2.587 1.364 2.181
H 0.185 -0.529 0.301
C -2.198 0.892 1.291
O -2.343 -1.009 -2.272
C 0.670 -0.327 -0.603
```

Atomic partial charges in e from the natural (NBO) method, atoms 1 to 6:
1 H 0.2850
2 H 0.2917
3 N 0.6555
4 N -0.4577
5 N 0.0440
6 H 0.2697

Entry b
The following is a quantum chemistry calculation of a cluster of 2 separate species, C2H4N3O in total, from the OMol25 dataset.

Orbital gap = 12.34 eV
Lowest unoccupied orbital energy = -4.9 eV
HOMO energy = -0.632 Eh
Net charge = +1

XYZ file:
```
10
C2H4N3O | the OMol25 dataset | the ωB97M-V functional and the def2-TZVPD basis
C -0.883 -0.090 -1.263
H -0.484 0.232 -2.251
C 1.924 -1.041 1.335
N -0.552 0.836 -0.325
N -0.651 1.355 0.663
H 2.310 -1.971 1.432
H -0.208 -0.981 -1.043
N 1.230 -0.133 1.266
H -1.952 -0.105 -1.440
O -0.734 1.898 1.628
```

Atomic partial charges in e from the natural (NBO) method, atoms 1 to 6:
1 C -0.4951
2 H 0.2834
3 C 0.1994
4 N 0.0490
5 N 0.6673
6 H 0.2389

So which one is most stable? That would be entry a, about 0.315 eV below the next structure.

Entry a
The following is a quantum chemistry calculation of a structure of composition C23H25As2BCrF7N4O3S3Se, from the OMol25 dataset.

Orbital gap (alpha / beta) = 4.75 / 5.77 eV
Lowest unoccupied orbital energy (alpha / beta) = 4.0 / 3.6 eV
Expectation value of S² = 8.80
2S+1 = 6
HOMO energy (alpha / beta) = -0.027 / -0.080 Eh
Net charge = -2

XYZ file:
```
70
C23H25As2BCrF7N4O3S3Se | the OMol25 dataset | the ωB97M-V functional and the def2-TZVPD basis
H 5.741 -2.275 4.453
H 3.678 -3.145 3.289
C -4.779 -1.364 -4.108
As -3.130 0.990 -0.286
S -2.077 0.795 3.207
Se 1.127 -2.874 0.995
C 2.375 -0.119 -1.565
H -1.390 2.132 -1.781
H -2.937 3.004 -1.872
H -4.339 2.743 1.009
H 7.068 0.375 4.160
N 2.828 -1.301 3.089
____________

I’ve certainly learned a thing or two over the years about planning a river trip, but this takes it to a whole new level. Planning for the folks to meet us and the public outreach is one thing, but the really challenging part has been to set the river schedule, set a pace, and make sure we have enough water to drink. We think we’ve got it all planned out, but I’m smart enough to know we don’t have it all figured out. What I do know is that we have great people that have rogered up to help us along the way – and for that I am very grateful.

Speaking of grateful – let me share a little with you about the team that I am kayaking with for 173 miles and 8 days. These 6 people have been long time volunteers for Friends of the Kaw as well as one of our long time Board members. These are people that know the river, know kayaking, camping and outdoor survival. I am honored to be on this journey with them and I know that they’ve got my back – and I’ve got theirs. We’ve paddled many miles together, camped many nights together on sandbars – and we are ready. We depart this Friday, July 17 from Junction City and will arrive at Kaw Point Park on Saturday, July 25 – if all goes as “planned”.

I’ve decided that for me – this is a journey of myself as much as it is for Friends of the Kaw. I plan to immerse myself in the calling of the river, listen to the wildlife as I meander through their home, and enjoy my friends and their gifts to the journey. I plan to be “present over perfect” – and live in the moment. We would love for you to join us – be present – and immerse yourself in the beauty of the river.

I will be writing a blog, such as this, every evening to share my experience. It will be as much a gift to myself to write about it, but I do hope that you find some value in the words on the page.

So join us – either in person, through the writing of our blog, or on one of our social media channels – let us help you connect to the Kansas River. We could use your good thoughts, good vibes, prayers, energy – whatever the earth and universe can share – we could use it! See you – literally “on the river”!

Dawn, your Kansas Riverkeeper

Chasing the Channel – Blog No. 2

Chasing the Channel – Blog No. 2

It feels really good to be back on the Kansas River with the public. Last weekend, we took a group out on the Kansas River from Junction City to Ogden for one of our educational paddle trips. This was the first time that we had had the public on the river since April 2019 before the floods hit. We’ve had other events, and we’ve certainly been on the river doing river checks, but it had been a long time since we’ve had a public river event.

We also are in the process of working on a project on a piece of property along the Kansas River. We posted on our social media photos of a beautiful riparian buffer forest and we look forward to sharing more details soon. In other news, we continue to check the river and monitor for pollution. And as you can imagine, with COVID-19 cases increasing, we are making plans for a different version of Beers of the Kaw and will have an announcement soon.

Next to the piece, the page also holds molecular data >
____________
# C6H11N4

A gas-phase ion, C6H11N4 (charge +1) in a non-equilibrium geometry (ωB97M-V/def2-TZVPD, the OMol25 dataset).

ORCA input file:
```
! RIJCOSX wB97M-V def2-TZVPD def2/J DEFGRID3
* xyz 1 1
C 0.46989 -1.37283 0.32145
C -0.88719 -0.78856 0.50605
C 0.51932 1.58913 -1.65030
C -1.08783 0.48614 -0.34778
C 0.47496 -2.84188 0.65094
C 0.44913 1.88693 0.98540
N 1.43021 -0.68866 -0.04010
N -0.41447 0.82980 -2.40106
N -1.27051 0.28904 -1.73780
N 0.14526 1.27596 -0.26717
H -1.86052 -1.38192 0.25410
H -1.09089 -0.65537 1.59011
H 1.54068 1.31152 -2.10334
H 0.41695 2.67294 -1.76233
H -1.86729 1.17885 -0.01318
H -0.20146 -3.23218 1.38390
H 1.34340 -3.33572 0.95212
H 0.14366 -3.53690 -0.23821
H 1.43396 2.11242 0.96726
H 0.04450 2.91790 1.14470
H 0.26826 1.28343 1.80524
*
```

**Calculated total energy**: -12348.478 eV
**Kohn-Sham gap (alpha / beta)**: 7.21 / 7.21 eV
**Energy relative to the best compared isomer or geometry (same formula, charge and spin)**: 577.7 kJ/mol
**LUMO level (alpha / beta)**: -6.82 / -6.81 eV

Here are the Löwdin charges for atoms 1 to 8, given in e: atom 1 (C): -0.3730, atom 2 (C): -0.0654, atom 3 (C): -0.1422, atom 4 (C): -0.3030, atom 5 (C): -0.0013, atom 6 (C): -0.0177, atom 7 (N): 0.3948, atom 8 (N): 0.0684

----------

1.
The following is a quantum chemistry calculation of C9H18F6N6NaO5S2 as an isolated structure in a non-equilibrium geometry, from the OMol25 dataset.

Last column: natural (NBO) charge in e.
Geometry (Å):
Na: 0.24282 1.11986 0.17375  0.86
N: 2.24535 0.02653 1.08697  -0.86
C: 2.70812 -1.28136 0.62504  -0.22
C: 2.29754 -1.53014 -0.82659  -0.22
N: 0.85580 -1.66703 -1.01735  -0.46
C: 0.36859 -2.96877 -0.53721  -0.23
C: -0.53397 -2.93504 0.68380  -0.22
N: -1.84818 -2.39857 0.32544  -0.85
C: 0.43351 -1.38289 -2.38403  -0.22
C: -1.03247 -0.96961 -2.46609  -0.24
N: -1.25232 0.34466 -1.83136  -0.86
H: 2.88501 0.77865 0.85500  0.37
H: 2.01146 0.06180 2.07012  0.39
H: 2.26911 -2.05134 1.26357  0.19
H: 3.79154 -1.40846 0.68916  0.16
H: 2.82673 -2.42560 -1.19336  0.15
H: 2.64543 -0.68099 -1.42248  0.21
H: 1.23015 -3.61639 -0.33105  0.18
H: -0.20071 -3.45534 -1.33639  0.19
H: -0.05604 -2.36843 1.49068  0.19
H: -0.66469 -3.96444 1.02463  0.17
H: -1.72247 -1.41617 0.10403  0.37
H: -2.41336 -2.35804 1.16340  0.36
H: 0.59924 -2.24431 -3.05307  0.16
H: 1.04063 -0.55946 -2.76983  0.21
H: -1.65002 -1.69797 -1.94080  0.21
H: -1.32160 -0.98791 -3.51925  0.16
H: -2.24069 0.55222 -1.76537  0.36
H: -0.84004 1.07098 -2.40652  0.37
F: 3.88486 1.96506 -3.39775  -0.32
C: 3.31100 2.96975 -2.73492  0.71
F: 3.38768 4.07497 -3.46872  -0.31
F: 3.95407 3.15802 -1.58681  -0.31
S: 1.56176 2.54128 -2.41322  2.25
O: 1.63034 1.59528 -1.30654  -0.99
O: 1.07995 2.06491 -3.67817  -0.93
N: 0.91939 3.90835 -1.98317  -1.21
S: 0.46645 3.93058 -0.44076  2.22
O: -0.65307 3.05083 -0.19214  -0.94
O: 1.54925 3.93394 0.50474  -0.92
C: -0.20716 5.62366 -0.39810  0.73
F: -0.53895 5.88302 0.85792  -0.30
F: 0.70867 6.49770 -0.80723  -0.31
____________

By now, if you follow us on social media, you have seen that we are in full swing planning for the KAW 173…our journey to paddle all 173 miles of the Kansas River over a period of 7 to 10 days. Along the way, we will have community visits at several boat ramps as well as public paddles where the public can join us on a section of the river. All of these dates and times have been scheduled. To see the complete schedule to join us, go here: https://kansasriver.org/kaw173-jc-to-kc-on-the-water-trail/

We hope that many of you can join us on these public paddles, or if you’d rather meet us on land, come to one of our community visits. We’d love to see you and hear about your connections to the Kansas River Water Trail. I will also blog every day from the river about what I see…people, wildlife, community connections, and the beauty of it all!

Our journey will be challenging, but we’ve been planning this for over two years and feel ready. Initial plans were to do this trip in 2019 and those were canceled due to the flooding. So our team is certainly ready and we are prepared as best we can be. We look forward to seeing you all along the way.

My best to you all and wishes for good health.

For the river,

Dawn Buehler

Your Kansas Riverkeeper

Chasing the Channel – Blog No. 1

Chasing the Channel – Blog No. 1

About two weeks ago, I kayaked 48 miles of the Kansas River with some of our long time volunteer Kaw River Guide’s. Our goal for this trip, was to practice preparation for an even greater challenge, to kayak all 173 miles of the Kansas River, all at once, later this summer. We are in the final weeks of preparation and will be making an announcement soon about our journey. I sincerely hope that you will all join us in spirit on this journey, and maybe even some of you will join us to paddle for some of the pre-designated sections of the river where we would love to have some company.

The last few months have been challenging for all of us and certainly FOK as well. We’ve been blessed with plenty of work to keep our minds busy including updates to our website, new updates coming for our river access map, creation of a virtual kids about water program, many grants written, and coming into the home stretch of our beloved Riverbank Restoration Project. We are grateful that we have had opportunities to remain busy.

One of the projects that we’ve been working on since the flood waters receded last December 2019, is doing a complete river check of the entire Kansas River to check for new erosion and pollution. What is quite amazing, is that we continue to see new dumping sites in 2020 and new violations of dumping sediment into our rivers. Lucky for all of us that Friends of the Kaw exists along with our countless members, because if you dump trash from your property into the Kansas River, we will find it and we will enforce it. Let’s just say we’ve been busy this spring. If you see dumping, please report it to riverkeeper@kansasriver.org. Let’s do this together…keep our river clean!

As always, thank you to each one of you for your continued and steady support. We are so very grateful.

If we can help you find ways to connect to the Kansas River, please give us a call or send us an email. We are happy to help you protect, advocate, and discover the Kansas River.

For the river,


Your Kansas Riverkeeper